(Given)
Record 1
First-principles (PBE+U) data for crystalline MnV4NiO12 at its relaxed geometry, as listed in the Materials Project.

Values from the calculation:
- M_tot (μB per cell) = 7.00
- formation enthalpy at 0 K (eV/atom) = -2.21
- calculated density (Mg/m³) = 3.33
- electronic total energy (eV per atom) = -7.291
- energy with MP2020 corrections (eV per atom) = -8.3607

Cell lengths 6.829, 6.829, 5.864 Å; angles 105.44, 105.44, 84.04 degrees
Sites, in units of the cell vectors:
Mn 0.000 0.000 0.000
V 0.119 0.473 0.011
V 0.306 0.291 0.516
V 0.527 0.881 0.989
V 0.709 0.694 0.484
Ni 0.828 0.172 0.500
O 0.001 0.702 0.041
O 0.113 0.122 0.402
O 0.270 0.446 0.304
O 0.280 0.448 0.807
O 0.298 0.999 0.959
O 0.537 0.176 0.541
O 0.552 0.720 0.193
O 0.554 0.730 0.696
O 0.718 0.051 0.118
O 0.824 0.463 0.459
O 0.878 0.887 0.598
O 0.949 0.282 0.882



Record 2
First-principles (PBE+U) data for crystalline Mn2V3NiO8 at its relaxed geometry, as listed in the Materials Project.

Values from the calculation:
- M_tot (μB per cell) = 20.33
- formation enthalpy at 0 K (eV/atom) = -1.93
- calculated density (Mg/m³) = 4.63
- electronic total energy (eV per atom) = -7.250
- energy with MP2020 corrections (eV per atom) = -8.4266
- energy above the lowest structure with this stoichiometry (eV per formula unit) = 4.101

Cell lengths 6.062, 6.099, 10.498 Å; angles 74.59, 74.26, 60.90 degrees
Sites, in units of the cell vectors:
Mn 0.068 0.056 0.315
Mn 0.432 0.443 0.185
Mn 0.568 0.557 0.815
Mn 0.932 0.944 0.685
V 0.000 0.000 0.000
V 0.000 0.500 0.000
V 0.000 0.500 0.500
V 0.500 0.000 0.000
V 0.500 0.000 0.500
V 0.500 0.500 0.500
Ni 0.250 0.250 0.750
Ni 0.750 0.750 0.250
O 0.092 0.654 0.114
O 0.128 0.598 0.612
O 0.141 0.126 0.108
O 0.141 0.149 0.608
O 0.359 0.352 0.892
O 0.359 0.375 0.392
O 0.372 0.902 0.887
O 0.409 0.845 0.386
O 0.591 0.155 0.614
O 0.628 0.098 0.113
O 0.641 0.625 0.608
O 0.641 0.648 0.108
O 0.859 0.851 0.392
O 0.859 0.874 0.892
O 0.872 0.402 0.388
O 0.908 0.346 0.886



Record 3
First-principles (PBE+U) data for crystalline Mn2V3NiO8 at its relaxed geometry, as listed in the Materials Project.

Values from the calculation:
- M_tot (μB per cell) = 17.00
- formation enthalpy at 0 K (eV/atom) = -2.19
- calculated density (Mg/m³) = 4.64
- electronic total energy (eV per atom) = -7.512
- energy with MP2020 corrections (eV per atom) = -8.6884
- energy above the lowest structure with this stoichiometry (eV per formula unit) = 0.436

Cell lengths 6.113, 6.113, 6.113 Å; angles 59.86, 59.86, 59.86 degrees
Sites, in units of the cell vectors:
Mn 0.124 0.124 0.124
Mn 0.876 0.876 0.876
V 0.000 0.500 0.500
V 0.500 0.000 0.500
V 0.500 0.500 0.000
Ni 0.500 0.500 0.500
O 0.257 0.257 0.712
O 0.257 0.712 0.257
O 0.263 0.263 0.263
O 0.288 0.743 0.743
O 0.712 0.257 0.257
O 0.737 0.737 0.737
O 0.743 0.288 0.743
O 0.743 0.743 0.288



Record 4
First-principles (PBE+U) data for crystalline Y5Mn3Ni3O18 at its relaxed geometry, as listed in the Materials Project.

Values from the calculation:
- M_tot (μB per cell) = 24.00
- formation enthalpy at 0 K (eV/atom) = -2.50
- calculated density (Mg/m³) = 5.45
- electronic total energy (eV per atom) = -7.370
- energy with MP2020 corrections (eV per atom) = -8.2322

Cell lengths 7.483, 5.516, 17.521 Å; angles 90.00, 115.24, 90.00 degrees
Sites, in units of the cell vectors:
Y 0.000 0.176 0.000
Y 0.000 0.824 0.500
Y 0.158 0.316 0.656
Y 0.158 0.684 0.156
Y 0.341 0.180 0.336
Y 0.341 0.820 0.836
Y 0.665 0.185 0.664
Y 0.665 0.815 0.164
Y 0.821 0.313 0.323
Y 0.821 0.687 0.823
Mn 0.087 0.256 0.831
Mn 0.087 0.744 0.331
Mn 0.414 0.253 0.157
Mn 0.414 0.747 0.657
Mn 0.737 0.270 0.496
Mn 0.737 0.730 0.996
Ni 0.250 0.269 0.493
Ni 0.250 0.731 0.993
Ni 0.579 0.252 0.831
Ni 0.579 0.748 0.331
Ni 0.909 0.250 0.160
Ni 0.909 0.750 0.660
O 0.168 0.430 0.383
O 0.168 0.570 0.883
O 0.202 0.273 0.196
O 0.202 0.727 0.696
O 0.217 0.054 0.922
O 0.217 0.946 0.422
O 0.248 0.447 0.066
O 0.248 0.553 0.566
O 0.293 0.222 0.795
O 0.293 0.778 0.295

(To do)
Transcribe the lines earlier on from the one with "0.737 0.270" to the one with "0.909 0.250" exactly, please.

(Outcome)
Mn 0.737 0.270 0.496
Mn 0.737 0.730 0.996
Ni 0.250 0.269 0.493
Ni 0.250 0.731 0.993
Ni 0.579 0.252 0.831
Ni 0.579 0.748 0.331
Ni 0.909 0.250 0.160